Assignment =
It remains to print everything further down without additions.

Listing =
'''
# 1
## Tl4SnS3 (PBE)

Data for crystalline Tl4SnS3 at its relaxed geometry.

Values from the calculation:
**Size of the total moment**: 0.00 μB/atom
**Space group**: P4/ncc (130)

Unit cell a=8.1444 b=8.1444 c=14.5114 alpha=90.00 beta=90.00 gamma=90.00
Sites, in units of the cell vectors:
Tl  0.0905  0.6097  0.1092
Tl  0.0905  0.8903  0.6092
Tl  0.1097  0.5905  0.3908
Tl  0.1097  0.9095  0.8908
Tl  0.3903  0.5905  0.8908
Tl  0.3903  0.9095  0.3908
Tl  0.4095  0.6097  0.6092
Tl  0.4095  0.8903  0.1092
Tl  0.5905  0.1097  0.8908
Tl  0.5905  0.3903  0.3908
Tl  0.6097  0.0905  0.6092
Tl  0.6097  0.4095  0.1092
Tl  0.8903  0.0905  0.1092
Tl  0.8903  0.4095  0.6092
Tl  0.9095  0.1097  0.3908
Tl  0.9095  0.3903  0.8908
Sn  0.2500  0.2500  0.2400
Sn  0.2500  0.2500  0.7400
Sn  0.7500  0.7500  0.2600
Sn  0.7500  0.7500  0.7600
S  0.0797  0.5797  0.7500
S  0.0797  0.9203  0.2500
S  0.2500  0.2500  0.4147
S  0.2500  0.2500  0.9147
S  0.4203  0.5797  0.2500
S  0.4203  0.9203  0.7500
S  0.5797  0.0797  0.2500
S  0.5797  0.4203  0.7500
S  0.7500  0.7500  0.0853
S  0.7500  0.7500  0.5853
S  0.9203  0.0797  0.7500
S  0.9203  0.4203  0.2500



# 2
## Na3TlBr6 (PBE)

Data for crystalline Na3TlBr6 at its relaxed geometry.

Values from the calculation:
**Size of the total moment**: 0.00 μB/atom
**Space group**: Fm-3m (225)

Unit cell a=7.9561 b=7.9561 c=7.9561 alpha=60.00 beta=60.00 gamma=60.00
Sites, in units of the cell vectors:
Na  0.0000  0.0000  0.0000
Na  0.2500  0.2500  0.2500
Na  0.7500  0.7500  0.7500
Tl  0.5000  0.5000  0.5000
Br  0.2547  0.2547  0.7453
Br  0.2547  0.7453  0.2547
Br  0.2547  0.7453  0.7453
Br  0.7453  0.2547  0.2547
Br  0.7453  0.2547  0.7453
Br  0.7453  0.7453  0.2547



# 3
## SrNdCuS3 (PBE)

Data for crystalline SrNdCuS3 at its relaxed geometry.

Values from the calculation:
**Size of the total moment**: 0.00 μB/atom
**Space group**: Pnma (62)

Unit cell a=10.6761 b=4.0206 c=12.9941 alpha=90.00 beta=90.00 gamma=90.00
Sites, in units of the cell vectors:
Sr  0.2120  0.2500  0.0028
Sr  0.2880  0.7500  0.5028
Sr  0.7120  0.2500  0.4972
Sr  0.7880  0.7500  0.9972
Nd  0.0171  0.7500  0.2673
Nd  0.4829  0.2500  0.7673
Nd  0.5171  0.7500  0.2327
Nd  0.9829  0.2500  0.7327
Cu  0.2329  0.7500  0.7780
Cu  0.2671  0.2500  0.2780
Cu  0.7329  0.7500  0.7220
Cu  0.7671  0.2500  0.2220
S  0.0518  0.7500  0.8800
S  0.1058  0.2500  0.3990
S  0.2410  0.2500  0.6741
S  0.2590  0.7500  0.1741
S  0.3942  0.7500  0.8990
S  0.4482  0.2500  0.3800
S  0.5518  0.7500  0.6200
S  0.6058  0.2500  0.1010
S  0.7410  0.2500  0.8259
S  0.7590  0.7500  0.3259
S  0.8942  0.7500  0.6010
S  0.9482  0.2500  0.1200



# 4
## Ag7PS6 (PBE)

Data for crystalline Ag7PS6 at its relaxed geometry.

Values from the calculation:
**Size of the total moment**: 0.00 μB/atom
**Space group**: P2_13 (198)

Unit cell a=10.5310 b=10.5310 c=10.5310 alpha=90.00 beta=90.00 gamma=90.00
Sites, in units of the cell vectors:
Ag  0.0077  0.2273  0.5159
Ag  0.0159  0.4923  0.7727
Ag  0.0734  0.5975  0.2334
Ag  0.0975  0.2666  0.9266
Ag  0.1480  0.8520  0.3520
Ag  0.2273  0.5159  0.0077
Ag  0.2334  0.0734  0.5975
Ag  0.2666  0.9266  0.0975
Ag  0.2727  0.4841  0.5077
Ag  0.3520  0.1480  0.8520
Ag  0.4025  0.7334  0.4266
Ag  0.4266  0.4025  0.7334
Ag  0.4841  0.5077  0.2727
Ag  0.4923  0.7727  0.0159
Ag  0.5077  0.2727  0.4841
Ag  0.5159  0.0077  0.2273
Ag  0.5734  0.9025  0.7666
Ag  0.5975  0.2334  0.0734
Ag  0.6480  0.6480  0.6480
Ag  0.7273  0.9841  0.9923
Ag  0.7334  0.4266  0.4025
Ag  0.7666  0.5734  0.9025
Ag  0.7727  0.0159  0.4923
Ag  0.8520  0.3520  0.1480
Ag  0.9025  0.7666  0.5734
Ag  0.9266  0.0975  0.2666
Ag  0.9841  0.9923  0.7273
Ag  0.9923  0.7273  0.9841
P  0.2486  0.2486  0.2486
P  0.2514  0.7514  0.7486
P  0.7486  0.2514  0.7514
P  0.7514  0.7486  0.2514
S  0.0147  0.9853  0.4853
S  0.1317  0.3669  0.3546
S  0.1331  0.6454  0.6317
S  0.1346  0.1346  0.1346
S  0.1454  0.8683  0.8669
S  0.2192  0.2808  0.7192
S  0.2808  0.7192  0.2192
S  0.3546  0.1317  0.3669
'''

Reply =
# 1
## Tl4SnS3 (PBE)

Data for crystalline Tl4SnS3 at its relaxed geometry.

Values from the calculation:
**Size of the total moment**: 0.00 μB/atom
**Space group**: P4/ncc (130)

Unit cell a=8.1444 b=8.1444 c=14.5114 alpha=90.00 beta=90.00 gamma=90.00
Sites, in units of the cell vectors:
Tl  0.0905  0.6097  0.1092
Tl  0.0905  0.8903  0.6092
Tl  0.1097  0.5905  0.3908
Tl  0.1097  0.9095  0.8908
Tl  0.3903  0.5905  0.8908
Tl  0.3903  0.9095  0.3908
Tl  0.4095  0.6097  0.6092
Tl  0.4095  0.8903  0.1092
Tl  0.5905  0.1097  0.8908
Tl  0.5905  0.3903  0.3908
Tl  0.6097  0.0905  0.6092
Tl  0.6097  0.4095  0.1092
Tl  0.8903  0.0905  0.1092
Tl  0.8903  0.4095  0.6092
Tl  0.9095  0.1097  0.3908
Tl  0.9095  0.3903  0.8908
Sn  0.2500  0.2500  0.2400
Sn  0.2500  0.2500  0.7400
Sn  0.7500  0.7500  0.2600
Sn  0.7500  0.7500  0.7600
S  0.0797  0.5797  0.7500
S  0.0797  0.9203  0.2500
S  0.2500  0.2500  0.4147
S  0.2500  0.2500  0.9147
S  0.4203  0.5797  0.2500
S  0.4203  0.9203  0.7500
S  0.5797  0.0797  0.2500
S  0.5797  0.4203  0.7500
S  0.7500  0.7500  0.0853
S  0.7500  0.7500  0.5853
S  0.9203  0.0797  0.7500
S  0.9203  0.4203  0.2500



# 2
## Na3TlBr6 (PBE)

Data for crystalline Na3TlBr6 at its relaxed geometry.

Values from the calculation:
**Size of the total moment**: 0.00 μB/atom
**Space group**: Fm-3m (225)

Unit cell a=7.9561 b=7.9561 c=7.9561 alpha=60.00 beta=60.00 gamma=60.00
Sites, in units of the cell vectors:
Na  0.0000  0.0000  0.0000
Na  0.2500  0.2500  0.2500
Na  0.7500  0.7500  0.7500
Tl  0.5000  0.5000  0.5000
Br  0.2547  0.2547  0.7453
Br  0.2547  0.7453  0.2547
Br  0.2547  0.7453  0.7453
Br  0.7453  0.2547  0.2547
Br  0.7453  0.2547  0.7453
Br  0.7453  0.7453  0.2547



# 3
## SrNdCuS3 (PBE)

Data for crystalline SrNdCuS3 at its relaxed geometry.

Values from the calculation:
**Size of the total moment**: 0.00 μB/atom
**Space group**: Pnma (62)

Unit cell a=10.6761 b=4.0206 c=12.9941 alpha=90.00 beta=90.00 gamma=90.00
Sites, in units of the cell vectors:
Sr  0.2120  0.2500  0.0028
Sr  0.2880  0.7500  0.5028
Sr  0.7120  0.2500  0.4972
Sr  0.7880  0.7500  0.9972
Nd  0.0171  0.7500  0.2673
Nd  0.4829  0.2500  0.7673
Nd  0.5171  0.7500  0.2327
Nd  0.9829  0.2500  0.7327
Cu  0.2329  0.7500  0.7780
Cu  0.2671  0.2500  0.2780
Cu  0.7329  0.7500  0.7220
Cu  0.7671  0.2500  0.2220
S  0.0518  0.7500  0.8800
S  0.1058  0.2500  0.3990
S  0.2410  0.2500  0.6741
S  0.2590  0.7500  0.1741
S  0.3942  0.7500  0.8990
S  0.4482  0.2500  0.3800
S  0.5518  0.7500  0.6200
S  0.6058  0.2500  0.1010
S  0.7410  0.2500  0.8259
S  0.7590  0.7500  0.3259
S  0.8942  0.7500  0.6010
S  0.9482  0.2500  0.1200



# 4
## Ag7PS6 (PBE)

Data for crystalline Ag7PS6 at its relaxed geometry.

Values from the calculation:
**Size of the total moment**: 0.00 μB/atom
**Space group**: P2_13 (198)

Unit cell a=10.5310 b=10.5310 c=10.5310 alpha=90.00 beta=90.00 gamma=90.00
Sites, in units of the cell vectors:
Ag  0.0077  0.2273  0.5159
Ag  0.0159  0.4923  0.7727
Ag  0.0734  0.5975  0.2334
Ag  0.0975  0.2666  0.9266
Ag  0.1480  0.8520  0.3520
Ag  0.2273  0.5159  0.0077
Ag  0.2334  0.0734  0.5975
Ag  0.2666  0.9266  0.0975
Ag  0.2727  0.4841  0.5077
Ag  0.3520  0.1480  0.8520
Ag  0.4025  0.7334  0.4266
Ag  0.4266  0.4025  0.7334
Ag  0.4841  0.5077  0.2727
Ag  0.4923  0.7727  0.0159
Ag  0.5077  0.2727  0.4841
Ag  0.5159  0.0077  0.2273
Ag  0.5734  0.9025  0.7666
Ag  0.5975  0.2334  0.0734
Ag  0.6480  0.6480  0.6480
Ag  0.7273  0.9841  0.9923
Ag  0.7334  0.4266  0.4025
Ag  0.7666  0.5734  0.9025
Ag  0.7727  0.0159  0.4923
Ag  0.8520  0.3520  0.1480
Ag  0.9025  0.7666  0.5734
Ag  0.9266  0.0975  0.2666
Ag  0.9841  0.9923  0.7273
Ag  0.9923  0.7273  0.9841
P  0.2486  0.2486  0.2486
P  0.2514  0.7514  0.7486
P  0.7486  0.2514  0.7514
P  0.7514  0.7486  0.2514
S  0.0147  0.9853  0.4853
S  0.1317  0.3669  0.3546
S  0.1331  0.6454  0.6317
S  0.1346  0.1346  0.1346
S  0.1454  0.8683  0.8669
S  0.2192  0.2808  0.7192
S  0.2808  0.7192  0.2192
S  0.3546  0.1317  0.3669